Assignment >
Please reproduce the lines underneath up to the one that holds "-3.14 -0.22", that line included.
Input >
+++
Record 1
ORCA calculation (the ωB97M-V functional and the def2-TZVPD basis) on C14H21Br2F7NO9PSSi2Zn as an isolated structure.

Structure (ORCA input):
```
! wB97M-V def2-TZVPD RIJCOSX def2/J DEFGRID3
* xyz 2 1
C 5.84 3.14 1.66
O 4.72 3.12 0.78
C 3.86 2.02 0.96
C 2.56 2.41 0.29
C 1.42 1.41 0.15
Si 1.68 -0.45 -0.07
C 2.77 -1.00 -1.60
C 3.69 -0.01 -2.11
O 3.31 1.10 -2.56
Br 5.53 -0.32 -2.01
C 2.37 -1.41 1.36
C 1.54 -1.46 2.65
C 2.06 -2.49 3.64
Br 1.48 0.30 3.50
O 0.19 -1.16 -0.39
Si -1.24 -0.49 -0.80
C -2.32 -1.95 -1.53
O -1.75 -2.70 -2.27
C -3.81 -2.21 -1.18
F -4.07 -3.50 -1.34
F -3.93 -1.89 0.13
C -4.78 -1.39 -2.06
F -4.73 -1.94 -3.27
F -4.27 -0.12 -2.15
C -6.27 -1.26 -1.60
F -6.97 -0.98 -2.70
F -6.67 -2.43 -1.08
C -6.46 -0.12 -0.55
O -6.12 -0.27 0.58
O -7.08 0.97 -1.03
P -2.01 0.88 0.91
N -2.24 -0.30 2.13
O -3.45 1.34 0.36
S -0.91 0.87 -2.56
O -1.34 2.18 -2.19
O 0.40 0.65 -3.09
F -1.92 0.32 -3.63
H 6.51 3.92 1.30
H 6.37 2.19 1.65
H 5.53 3.37 2.68
H 3.67 1.79 2.01
H 4.31 1.13 0.50
H 2.19 3.31 0.79
H 2.87 2.80 -0.72
H 0.78 1.80 -0.65
H 0.81 1.50 1.05
H 3.30 -1.91 -1.35
H 2.03 -1.22 -2.38
H 3.41 -1.16 1.57
H 2.37 -2.44 0.99
H 0.51 -1.69 2.40
H 1.71 -2.28 4.65
H 3.15 -2.45 3.68
H 1.73 -3.48 3.35
H -6.53 1.49 -1.63
H -2.21 -1.26 1.79
H -3.14 -0.22 2.60
H -4.23 1.05 0.87
Zn 3.78 2.90 -2.50
*
```

Calculated values
- Energy relative to the best compared isomer or geometry (same formula, charge and spin): 0.0 kJ/mol
- LUMO level: -11.089 eV
- HOMO-LUMO gap: 2.2 eV
- HOMO: -13.282 eV
- Electronic energy: -278164.4932 eV

=====

Record 2
ORCA calculation (the ωB97M-V functional and the def2-TZVPD basis) on a single C4H7NO molecule.

Structure (ORCA input):
```
! wB97M-V def2-TZVPD RIJCOSX def2/J DEFGRID3
* xyz 0 1
C -1.63 -0.80 -0.05
N -0.69 0.31 -0.13
C 0.39 0.10 -1.06
C 0.63 0.05 0.42
C 1.45 1.16 0.98
O 2.33 0.99 1.78
H -2.31 -0.73 -0.91
H -2.23 -0.72 0.87
H -1.15 -1.79 -0.08
H 0.49 -0.84 -1.60
H 0.66 0.99 -1.64
H 0.80 -0.91 0.90
H 1.26 2.16 0.52
*
```

Calculated values
- Energy relative to the best compared isomer or geometry (same formula, charge and spin): 220.9 kJ/mol
- LUMO level: 0.961 eV
- HOMO-LUMO gap: 10.6 eV
- HOMO: -9.600 eV
- SMILES: CN1C[C@H]1C=O
- Electronic energy: -7797.3548 eV

=====

Record 3
ORCA calculation (the ωB97M-V functional and the def2-TZVPD basis) on a 8-piece molecular cluster, C3H23N2O9 overall.

Structure (ORCA input):
```
! wB97M-V def2-TZVPD RIJCOSX def2/J DEFGRID3
* xyz 1 1
N -0.13 -1.68 0.10
C 0.39 -0.53 0.86
C 1.94 -0.69 1.02
O 2.50 -0.28 -0.17
C -0.28 -0.48 2.24
N -1.16 0.50 2.50
O -0.08 -1.45 2.95
H 0.59 -1.82 -0.63
H -0.20 -2.45 0.77
H -1.01 -1.50 -0.43
H 0.15 0.38 0.33
H 2.24 -0.17 1.94
H 2.16 -1.73 1.26
H 2.48 0.69 -0.31
H -1.70 0.42 3.36
H -1.22 1.35 1.97
H 3.00 2.51 1.27
H 1.65 2.04 1.82
O 2.16 2.11 1.00
H 0.01 2.01 0.30
H -0.42 3.10 -0.66
O -0.70 2.60 0.11
H -3.27 -1.46 -1.00
H -3.15 -0.05 -0.39
O -2.76 -0.94 -0.36
H 2.36 -1.89 -1.48
H 2.01 -3.36 -1.84
O 1.78 -2.44 -2.03
H -1.38 -0.11 -2.91
H -1.20 -1.49 -3.58
O -1.15 -1.02 -2.72
H -2.25 1.89 -0.63
H -3.29 2.10 -1.78
O -3.07 1.54 -1.02
H 1.17 0.82 -2.37
H 1.13 2.29 -2.82
O 0.99 1.72 -2.07
*
```

Calculated values
- Energy relative to the best compared isomer or geometry (same formula, charge and spin): 0.0 kJ/mol
- LUMO level: -2.687 eV
- HOMO-LUMO gap: 10.9 eV
- HOMO: -13.547 eV
- Electronic energy: -24887.1564 eV
+++
Written answer >
Record 1
ORCA calculation (the ωB97M-V functional and the def2-TZVPD basis) on C14H21Br2F7NO9PSSi2Zn as an isolated structure.

Structure (ORCA input):
```
! wB97M-V def2-TZVPD RIJCOSX def2/J DEFGRID3
* xyz 2 1
C 5.84 3.14 1.66
O 4.72 3.12 0.78
C 3.86 2.02 0.96
C 2.56 2.41 0.29
C 1.42 1.41 0.15
Si 1.68 -0.45 -0.07
C 2.77 -1.00 -1.60
C 3.69 -0.01 -2.11
O 3.31 1.10 -2.56
Br 5.53 -0.32 -2.01
C 2.37 -1.41 1.36
C 1.54 -1.46 2.65
C 2.06 -2.49 3.64
Br 1.48 0.30 3.50
O 0.19 -1.16 -0.39
Si -1.24 -0.49 -0.80
C -2.32 -1.95 -1.53
O -1.75 -2.70 -2.27
C -3.81 -2.21 -1.18
F -4.07 -3.50 -1.34
F -3.93 -1.89 0.13
C -4.78 -1.39 -2.06
F -4.73 -1.94 -3.27
F -4.27 -0.12 -2.15
C -6.27 -1.26 -1.60
F -6.97 -0.98 -2.70
F -6.67 -2.43 -1.08
C -6.46 -0.12 -0.55
O -6.12 -0.27 0.58
O -7.08 0.97 -1.03
P -2.01 0.88 0.91
N -2.24 -0.30 2.13
O -3.45 1.34 0.36
S -0.91 0.87 -2.56
O -1.34 2.18 -2.19
O 0.40 0.65 -3.09
F -1.92 0.32 -3.63
H 6.51 3.92 1.30
H 6.37 2.19 1.65
H 5.53 3.37 2.68
H 3.67 1.79 2.01
H 4.31 1.13 0.50
H 2.19 3.31 0.79
H 2.87 2.80 -0.72
H 0.78 1.80 -0.65
H 0.81 1.50 1.05
H 3.30 -1.91 -1.35
H 2.03 -1.22 -2.38
H 3.41 -1.16 1.57
H 2.37 -2.44 0.99
H 0.51 -1.69 2.40
H 1.71 -2.28 4.65
H 3.15 -2.45 3.68
H 1.73 -3.48 3.35
H -6.53 1.49 -1.63
H -2.21 -1.26 1.79
H -3.14 -0.22 2.60